This document outlines The Academy of Allied Health Career’s support for and compliance with the Violence Against Women Act (VAWA). The Act was originally signed into law by President Bill Clinton in 1994 and has been reauthorized numerous times including the most recent in 2013 under President Barack Obama. VAWA provides a number of provisions to help prevent and address such offenses as stalking and domestic violence.
Policy Statement
The Academy of Allied Health Careers prohibits all acts of violence by students, faculty, administrators, campus visitors or anyone on The Academy’s premises, or participating in any event sponsored by The Academy. In keeping with VAWA this includes prohibition against sexual assault, domestic violence, dating violence and stalking.
- "Sexual Assault", known in Tennessee as Sexual Battery, occurs when someone compels a victim to engage in unlawful sexual contact against the victim’s will, and also includes circumstances when the victim is mentally incapable of giving consent to sex (such as being in a coma or having passed out from drug or alcohol use), and fraud (such as tricking a victim into believing that the defendant is the victim’s spouse)
/*
Record 1
Density functional theory data (the ωB97M-V functional and the def2-TZVPD basis) for a 10-piece molecular cluster, C16H52O15 overall in a non-equilibrium geometry.

Cartesian coordinates (Å):
O (-16.923, 15.694, 25.134)
C (-16.221, 15.564, 26.347)
C (-15.992, 16.918, 27.048)
O (-15.283, 16.717, 28.250)
H (-16.337, 15.507, 24.398)
H (-16.818, 14.842, 26.917)
H (-15.209, 15.154, 26.240)
H (-16.934, 17.424, 27.279)
H (-15.402, 17.497, 26.329)
H (-14.822, 17.537, 28.490)
O (-13.124, 14.141, 27.784)
C (-13.659, 14.066, 29.104)
C (-13.151, 12.751, 29.712)
O (-11.847, 12.806, 30.326)
H (-12.205, 14.424, 27.873)
H (-13.406, 14.913, 29.748)
H (-14.727, 14.029, 28.896)
H (-13.198, 12.024, 28.899)
H (-13.758, 12.395, 30.556)
H (-11.451, 11.951, 30.138)
O (-8.491, 18.155, 30.757)
C (-9.772, 17.801, 31.273)
C (-9.851, 16.486, 31.998)
O (-10.350, 15.505, 31.104)
H (-8.599, 18.989, 30.294)
H (-10.010, 18.588, 32.009)
H (-10.553, 17.968, 30.522)
H (-10.524, 16.569, 32.857)
H (-8.878, 16.308, 32.471)
H (-10.054, 14.612, 31.310)
O (-14.336, 22.228, 29.234)
C (-15.707, 21.848, 29.078)
C (-15.684, 20.500, 28.350)
O (-14.937, 19.458, 28.929)
H (-13.934, 21.560, 29.798)
H (-16.208, 21.687, 30.041)
H (-16.298, 22.613, 28.584)
H (-15.329, 20.668, 27.327)
H (-16.703, 20.145, 28.160)
H (-14.012, 19.476, 28.648)
O (-12.552, 18.023, 28.454)
C (-11.821, 17.649, 27.273)
C (-10.502, 16.947, 27.445)
O (-10.744, 15.751, 28.236)
H (-12.502, 17.209, 28.979)
H (-12.504, 16.939, 26.792)
H (-11.738, 18.474, 26.568)
H (-9.754, 17.481, 28.036)
H (-10.090, 16.576, 26.508)
H (-10.153, 15.758, 28.997)
C (-9.569, 21.017, 26.575)
C (-9.518, 21.383, 25.091)
O (-10.260, 22.560, 24.800)
H (-10.558, 20.584, 26.720)
H (-9.386, 21.896, 27.189)
H (-8.821, 20.270, 26.842)
H (-9.985, 20.617, 24.463)
H (-8.461, 21.489, 24.821)
H (-10.062, 22.825, 23.899)
C (-11.119, 18.276, 22.907)
O (-10.925, 17.474, 24.065)
H (-10.514, 19.176, 22.995)
H (-10.809, 17.835, 21.956)
H (-12.166, 18.568, 22.808)
H (-11.529, 16.726, 24.006)
C (-6.912, 13.805, 30.084)
O (-6.990, 12.584, 30.851)
H (-6.603, 14.635, 30.724)
H (-6.154, 13.588, 29.341)
H (-7.951, 13.961, 29.787)
H (-7.585, 12.647, 31.600)
C (-7.804, 17.479, 24.136)
O (-6.413, 17.728, 24.042)
H (-8.009, 16.601, 23.518)
H (-8.044, 17.108, 25.141)
H (-8.389, 18.351, 23.848)
H (-6.226, 18.642, 24.265)
C (-10.162, 12.323, 27.326)
O (-9.890, 11.516, 26.214)
H (-10.564, 11.702, 28.123)
H (-9.260, 12.782, 27.757)
H (-10.793, 13.193, 27.137)
H (-9.333, 11.955, 25.570)

LUMO level = 0.160 eV
Kohn-Sham gap = 9.76 eV
SMILES = OCCO.OCCO.OCCO.OCCO.OCCO.CCO.CO.CO.CO.CO

Löwdin population analysis, charges in e, atoms 1 to 5:
1 O -0.064
2 C -0.253
3 C -0.243
4 O -0.085
5 H 0.081

Record 2
Density functional theory data (the ωB97M-V functional and the def2-TZVPD basis) for a 3-piece molecular cluster, C37H38O4P overall in a non-equilibrium geometry.

Cartesian coordinates (Å):
C (0.942, 2.217, -4.649)
C (1.244, 0.580, -4.548)
C (-0.104, -0.343, -4.766)
*/
- “Domestic Violence” includes asserted violent misdemeanor and felony offenses committed by the victim's current or former spouse, current or former cohabitant, person similarly situated under domestic or family violence law, or anyone else protected under domestic or family violence law.
- “Dating Violence” means violence by a person who has been in a romantic or intimate relationship with the victim. Whether there was such relationship will be gauged by its length, type, and frequency of interaction.
- “Stalking” means a course of conduct directed at a specific person that would cause a reasonable person to fear for her, his, or others' safety, or to suffer substantial emotional distress.
The Academy of Allied Health Careers has added the following additional information to the above listed definitions of: incidents of sexual assault, domestic violence, dating violence, and stalking. The information is shared during the orientation process. These educational prevention programs promote awareness of rape, acquaintance rape, domestic violence, dating violence, sexual assault and stalking. The Academy does not condone any of the named crimes or any other crime for that matter; the school prohibits the crimes and incidents on or off premises.
Violent and controlling behavior, "Relationship Violence", is by a person who is currently with or was with a victim. This may include any of the following acts: perceived, threatened or actual physical injury, emotional or psychological abuse, sexual assault, control by force intimidation or economic control and or social sequestration. Some characteristics an abusive partner may exhibit are: emotional abuse, verbal abuse, sexual abuse or physical abuse. This may occur in traditional or same sex relationships.
### Misplaced molecular data
~~~
DFT (ωB97M-V with the def2-TZVPD basis set) results for C2H3NP2 in the gas phase in a non-equilibrium geometry.

Structure (XYZ):
```
8
C2H3NP2 (ωB97M-V with the def2-TZVPD basis set)
C 1.6787 0.7337 -0.0392
C 0.7327 -0.1366 0.2323
N -0.1922 -0.8415 0.3891
P -1.8440 -0.7962 -0.1130
P -2.7947 0.8694 0.2292
H 2.5839 0.6642 -0.7087
H 1.4763 1.6752 0.5907
H -1.6407 -2.1681 -0.5805
```

The calculation puts the energy at -815.33165 a.u. Its SMILES is C=C=N[PH]#P. The value obtained for the frontier orbital gap is 7.45 eV. The value obtained for the energy relative to the best compared isomer or geometry (same formula, charge and spin) is 59.00 kcal per mole. Its total charge is 0. The HOMO energy comes out at -8.29 eV.
~~~
### Back to the page
A pattern of behavior that reduces or destroys a person’s self-worth and esteem is emotional abuse. Symptoms could include jealous behavior, ignoring feelings, belittling values, restricting social activities and or withholding love, approval or affection. Verbal abuse is intended to hurt or injure another person by name calling, insults, threats suicide, humiliation, intimidation and or exaggerated criticism. Sexual abuse could be forcible sexually activity without consent. This does not have to be penetration; it could be unwanted touching as an example. Physical abuse includes any behavior that causes or threatens bodily harm, such as hitting slapping, breaking things or threatening to do so.
To recognize a violent relationship, ask yourself does the person you are involved with exhibit a pattern of behavior of: jealousy, criticizing you, or your behavior, makes all the decisions, is he/she controlling, threatening, insulting, always wants to know where you are, or checks in frequently. These are all signs you are in a violent relationship which lead to trouble. Additionally, has your partner shove, pushed, slapped, kicked, bit or intimidated you? Has he/she insisted you have sex when you did not want to? Threatened you or threatened suicide? Retained you when you wanted to leave? Be aware, be smart – seek help. If you are on campus, seek the help of any Administration or Faculty member. You may also seek immediate help via the local police department. Act now, abuse of any kind cannot be tolerated as it may lead to more serious concerns.
Stalking is a course of conduct whereby a person is in reasonable fear for his/her safety. It is a pattern of threats or harassment that is directed repeatedly toward a specific individual and is unwelcomed, intrusive, or fearful. It may include physical appearances of the stalker and harassing behavior. Note that most victims know the stalker. Again, act now before stalking becomes criminal behavior. Seek help from The Academy or the local police.
Consent as it pertains to instances of sexual activity in our jurisdiction means: willing, able, and knowledgeable of an act that a partner wishes to engage and comprehends the ramifications of the act and any consequences if any.
Procedures for Victims to Report Offenses and Preserve Evidence
A victim of sexual assault, dating violence, domestic violence or stalking that occurs on The Academy’s premises must immediately report the incident to an Administration member. If there is an immediate threat to your safety, you should first contact the Chattanooga Police Department and then inform the appropriate Academy administrator. The victim has the right to contact law enforcement at any time. The victim must preserve any evidence related to the incident.
Explanation of Victim Rights
The Victim has the following rights:
- To report any acts of sexual assault, dating violence, domestic violence and stalking to law enforcement, or the appropriate school administrators;
- To have actions taken by the school that ensure protection of the victim from both immediate and future offenses from the offender while on school premises;
- To have The Academy comply with any judicial no-contact, restraining or protective orders that have been authenticated and presented to the school;
- To have the victim’s confidentiality preserved as much as is reasonably possible;
# Inserted here: quantum chemistry results
____________
This record from OMol25 describes a molecular structure, C39H42AsF6N8O7S4Y. The level of theory is the ωB97M-V functional and the def2-TZVPD basis.

Cartesian coordinates (Å):
Y -0.14732 -0.31138 -0.04897
N 1.45154 1.07436 1.25217
C 2.66531 1.49491 0.59057
C 3.55356 2.36355 1.22801
C 4.68940 2.79750 0.56378
C 4.93352 2.36016 -0.72853
C 4.06229 1.46935 -1.38670
C 4.30397 0.99496 -2.70120
C 3.37795 0.11482 -3.26988
C 2.25956 -0.25070 -2.55979
N 1.95707 0.17035 -1.29483
C 2.88378 1.02683 -0.70772
H 0.84420 1.88287 1.35295
H 1.63946 0.72918 2.18655
H 3.33602 2.68616 2.24088
H 5.38515 3.46974 1.05168
H 5.82050 2.69059 -1.25914
H 5.20001 1.30286 -3.22663
H 3.51346 -0.30833 -4.25753
H 1.55149 -0.93095 -3.01736
F -1.48313 2.52811 5.13035
C -1.16047 2.42063 3.84808
F 0.16812 2.29910 3.74981
F -1.52480 3.53674 3.21342
S -1.99891 0.97802 3.05470
O -1.39219 0.95147 1.73698
O -3.38027 1.31093 3.15336
N -1.64871 -0.24716 3.95441
S -0.53956 -1.32065 3.64667
O 0.33191 -0.97471 2.54452
O -1.02616 -2.65163 3.76776
C 0.57997 -1.11781 5.09954
F 1.59457 -1.97461 4.96855
F 1.07472 0.12085 5.15189
F -0.05922 -1.37337 6.23485
N -5.44925 -6.01505 1.31423
C -4.68989 -5.17841 1.09153
C -3.74391 -4.13968 0.81286
C -3.89788 -2.87608 1.37463
C -2.96699 -1.88669 1.09321
C -1.82835 -2.07688 0.29244
C -1.75505 -3.35646 -0.28753
C -2.66473 -4.37129 -0.04129
H -4.74157 -2.67579 2.02425
H -3.16164 -0.91643 1.53917
H -0.95365 -3.58534 -0.98398
H -2.55055 -5.34327 -0.50733
C 2.93579 -2.03711 0.91595
C 3.96829 -3.18870 1.04999
N 3.37587 -4.47457 0.67869
C 2.89492 -4.39890 -0.70371
C 1.88554 -3.23632 -0.86585
N 1.63983 -2.55944 0.43163
C 1.18447 -3.57794 1.40879
C 2.22014 -4.72055 1.53747
H 3.28505 -1.28687 0.21261
H 2.75989 -1.54784 1.87783
H 4.33901 -3.26781 2.07443
H 4.82748 -3.01020 0.40026
H 2.43740 -5.35819 -0.95275
H 3.74969 -4.26373 -1.36904
H 0.93835 -3.58098 -1.28103
H 2.27778 -2.49790 -1.55478
H 0.20778 -3.93826 1.09505
H 1.05654 -3.08824 2.36684
H 1.78841 -5.68263 1.25488
H 2.56951 -4.80748 2.56922
O -0.17008 2.09467 -0.72557
N 0.57208 2.68572 -1.63430
C 1.33792 3.73253 -1.27513
C 2.16546 4.34143 -2.18796
C 2.21412 3.87224 -3.49308
C 1.39853 2.81103 -3.84519
C 0.58331 2.23058 -2.89922
H 1.25518 4.01062 -0.23588
H 2.78794 5.16024 -1.85633
H 2.88007 4.32101 -4.21723
H 1.40600 2.39460 -4.84232
H -0.05207 1.37543 -3.08130
O 2.16408 -2.97492 -5.92313
S 0.95816 -3.51833 -5.35846
O 0.86968 -4.94442 -5.21853
N 0.62100 -2.76879 -3.92985
C -0.43567 -2.01755 -4.01705
S -1.09994 -1.01853 -2.80907
C -1.13622 -2.06940 -5.34862
C -2.30335 -1.43971 -5.74969
C -2.75288 -1.65162 -7.04672
C -2.05399 -2.47454 -7.92574
C -0.88559 -3.10957 -7.52339
C -0.45847 -2.88801 -6.23097
H -2.84138 -0.80477 -5.05772
H -3.66483 -1.17257 -7.38089
H -2.42852 -2.62200 -8.93078
H -0.33176 -3.75487 -8.19292
C -2.83112 2.07383 -2.66918
As -2.93927 0.90226 -1.09741
C -3.89947 2.13501 0.07223
C -4.44310 -0.22862 -1.62785
H -3.79007 2.55055 -2.87313
H -2.52618 1.48161 -3.53043
H -2.08514 2.84287 -2.47292
____________
- To have a Review Board decide if the offender is prohibited from campus premises and if the offense is determined to have occurred either by a court of law;
- To have a Review Board decide if the offender is prohibited from campus premises after the offense while an investigation is being conducted.
Investigation of Offenses
Offenses will be investigated by a Review Board consisting of The Academy’s COO, Director of Accreditation and Compliance, the Director of Marketing and Business Development and other parties as warranted. Investigations will use the “preponderance of the evidence” to determine whether an offense has occurred.
The Review Board may elect to defer to investigation by law enforcement or some other governmental entity and rely on those findings in determining any sanctions against the offender.
Both the offender and the victim will be informed in writing of the investigative findings and any steps taken as a result of the investigation.
Both the victim and the offender have the right to have others present during any disciplinary proceeding or investigation, including an advisor of their choice.
Both the victim and offender will be informed of any appearance procedures.
Any student, faculty member, independent contractor, or administrator who is determined to have committed an act of sexual assault, dating violence, or domestic violence, stalking, rape, or acquaintance rape on the premises of The Academy will be dismissed from the school. This also includes acts committed while engaging in any school sponsored event whether on The Academy’s premises or not. An example could be offenses occurring in route to a field trip, or during a school sponsored social event away from campus.
Any individual who is determined to have committed such acts away from the premises of The Academy while not engaged in school activities will not be permitted onto The Academy’s premises until the Review Board made a determination that the individual may return.
Both the victim and the offender’s identities will be kept confidential as much as is reasonably possible. No personally identifiable information will be compromised. The Academy of Allied Health Careers will assume no responsibility or liability for failure to maintain confidentiality by third parties such as law enforcement, or others who conduct the investigation. All written documentation pertaining to the offense, including victim statements, witness statements, etc. will be kept confidential.
All new students, faculty and administrators will receive training on the following topics:
- The Academy’s policy prohibiting violence against women;
- Definition of rape, acquaintance rape, sexual assault, domestic violence, stalking and dating violence;
- Safe and positive bystander intervention options;
- Recognition the signs of abusive behavior and how to avoid potential attacks.
All students, faculty and administrators will receive the training brochure on VAWA and will receive updated information as warranted on a yearly basis.
Bystander Intervention
"Bystander Intervention" is the willingness to help someone who is in danger of violence. The Academy encourages individuals to take action to help prevent violence against others. Bystander intervention can be as simple as offering to walk to the parking lot as a group at night, helping someone recognize the signs that they are in a relationship that could lead to violence, or encouraging someone to take a walk before engaging in a confrontation that could lead to violence.